_Assignment_
It remains to filter the listing below: keep the lines with the word "Source".
_Entries_
+++
Entry 1:
A relaxed structure of MoRh2Cl. Source: Alexandria, functional GGA-PBE.

```
data_MoRh2Cl
_chemical_formula_sum 'Mo1 Rh2 Cl1'
_symmetry_space_group_name_H-M 'P 1'
_symmetry_Int_Tables_number 1
_cell_length_a 2.827
_cell_length_b 4.589
_cell_length_c 4.631
_cell_angle_alpha 90.00
_cell_angle_beta 90.00
_cell_angle_gamma 90.00
loop_
_symmetry_equiv_pos_as_xyz
'x,y,z'
loop_
_atom_site_label
_atom_site_type_symbol
_atom_site_fract_x
_atom_site_fract_y
_atom_site_fract_z
Mo1 Mo 0.000 0.000 0.000
Rh1 Rh 0.000 0.500 0.500
Rh2 Rh 0.500 0.000 0.500
Cl1 Cl 0.500 0.500 0.000
```

Results
E_form (uncorrected) = 50.7 kJ per mole of atoms
Energy above the lowest structure with this stoichiometry = 0.458 eV/atom
Symmetry = Pmmm

=====

Entry 2:
A relaxed structure of Mo2RhCl. Source: Alexandria, functional GGA-PBE.

```
data_Mo2RhCl
_chemical_formula_sum 'Mo2 Rh1 Cl1'
_symmetry_space_group_name_H-M 'P 1'
_symmetry_Int_Tables_number 1
_cell_length_a 5.119
_cell_length_b 5.119
_cell_length_c 4.540
_cell_angle_alpha 91.16
_cell_angle_beta 91.16
_cell_angle_gamma 32.05
loop_
_symmetry_equiv_pos_as_xyz
'x,y,z'
loop_
_atom_site_label
_atom_site_type_symbol
_atom_site_fract_x
_atom_site_fract_y
_atom_site_fract_z
Mo1 Mo 0.000 0.000 0.000
Mo2 Mo 0.705 0.705 0.297
Rh1 Rh 0.436 0.436 0.472
Cl1 Cl 0.215 0.215 0.743
```

Results
E_form (uncorrected) = 38.1 kJ per mole of atoms
Energy above the lowest structure with this stoichiometry = 0.309 eV/atom
Symmetry = Cm

=====

Entry 3:
A relaxed structure of MoRh2Cl. Source: Alexandria, functional GGA-PBE.

```
data_MoRh2Cl
_chemical_formula_sum 'Mo1 Rh2 Cl1'
_symmetry_space_group_name_H-M 'P 1'
_symmetry_Int_Tables_number 1
_cell_length_a 4.690
_cell_length_b 4.690
_cell_length_c 4.690
_cell_angle_alpha 128.65
_cell_angle_beta 128.65
_cell_angle_gamma 75.58
loop_
_symmetry_equiv_pos_as_xyz
'x,y,z'
loop_
_atom_site_label
_atom_site_type_symbol
_atom_site_fract_x
_atom_site_fract_y
_atom_site_fract_z
Mo1 Mo 0.000 0.000 0.000
Rh1 Rh 0.250 0.750 0.500
Rh2 Rh 0.750 0.250 0.500
Cl1 Cl 0.500 0.500 0.000
```

Results
E_form (uncorrected) = 61.3 kJ per mole of atoms
Energy above the lowest structure with this stoichiometry = 0.567 eV/atom
Symmetry = I4/mmm

----------

A relaxed structure of PmSm6Co2. Source: Alexandria, functional PBE.

Unit cell a=8.708 b=8.708 c=8.708 alpha=113.07 beta=108.91 gamma=106.50
Fractional coordinates of all 18 atoms:
1 Pm 0.000 0.000 0.000
2 Pm 0.500 0.000 0.500
3 Sm 0.009 0.226 0.783
4 Sm 0.193 0.492 0.300
5 Sm 0.193 0.893 0.700
6 Sm 0.305 0.303 0.608
7 Sm 0.305 0.697 0.002
8 Sm 0.443 0.226 0.217
9 Sm 0.557 0.774 0.783
10 Sm 0.695 0.303 0.998
11 Sm 0.695 0.697 0.392
12 Sm 0.807 0.107 0.300
13 Sm 0.807 0.508 0.700
14 Sm 0.991 0.774 0.217
15 Co 0.110 0.500 0.610
16 Co 0.388 0.388 0.000
17 Co 0.612 0.612 0.000
18 Co 0.890 0.500 0.390

Computed properties:
SG: No. 71
Density of states at the Fermi level: 20.793 states/eV/cell
Energy of formation: -0.002 eV/atom
+++
_Response_
A relaxed structure of MoRh2Cl. Source: Alexandria, functional GGA-PBE.
A relaxed structure of Mo2RhCl. Source: Alexandria, functional GGA-PBE.
A relaxed structure of MoRh2Cl. Source: Alexandria, functional GGA-PBE.
A relaxed structure of PmSm6Co2. Source: Alexandria, functional PBE.